Work order:
Write out the lines below up to the one that holds "Fe3OF5, computed", that line included.
Material:
********
An optimized crystal structure of ZnNiP2O7, computed with GGA+U.

Structure (POSCAR):
```
ZnNiP2O7
1.0
0.4562 -0.2414 6.8284
6.4722 6.0009 -3.5229
-5.3514 5.9435 1.7427
O P Zn Ni
28 8 4 4
Direct
0.5750 0.6898 0.3551 O
0.4923 0.7551 0.0308 O
0.9115 0.7971 0.8328 O
0.8286 0.4348 0.8002 O
0.2379 0.9680 0.9593 O
0.9924 0.2550 0.5311 O
0.0884 0.2028 0.1671 O
0.8065 0.9948 0.4070 O
0.3647 0.8149 0.5573 O
0.5885 0.7029 0.6671 O
0.0752 0.1894 0.8551 O
0.5077 0.2448 0.9693 O
0.2625 0.5316 0.5408 O
0.6708 0.0651 0.6998 O
0.1934 0.0052 0.5932 O
0.6933 0.5052 0.0932 O
0.1343 0.6847 0.9433 O
0.7623 0.0320 0.0406 O
0.9248 0.8108 0.1448 O
0.6352 0.1851 0.4428 O
0.0075 0.7450 0.4689 O
0.8655 0.3153 0.0569 O
0.4113 0.2970 0.3331 O
0.3292 0.9349 0.3003 O
0.3066 0.4948 0.9068 O
0.4251 0.3104 0.6449 O
0.1713 0.5651 0.1998 O
0.7376 0.4685 0.4590 O
0.2117 0.8816 0.4743 P
0.7117 0.3816 0.9744 P
0.4513 0.6797 0.5276 P
0.5487 0.3204 0.4724 P
0.9515 0.1798 0.0275 P
0.0486 0.8203 0.9724 P
0.7883 0.1184 0.5258 P
0.2883 0.6183 0.0257 P
0.8220 0.6096 0.6711 Zn
0.1778 0.3902 0.3287 Zn
0.6777 0.8903 0.8288 Zn
0.3222 0.1096 0.1713 Zn
0.8434 0.6252 0.2806 Ni
0.6565 0.8755 0.2192 Ni
0.1571 0.3750 0.7190 Ni
0.3436 0.1246 0.7808 Ni
```

Output
**E above lowest polymorph**: 12 meV/atom
**Calculated volume**: 11.24 Å³ per atom


An optimized crystal structure of CaV8O8F8, computed with GGA+U.

Structure (POSCAR):
```
CaV8O8F8
1.0
2.4320 3.7176 -2.1063
-9.1711 4.5156 -3.0966
-0.8857 2.8802 4.9521
V Ca O F
8 1 8 8
Direct
0.9955 0.4972 0.5134 V
0.0324 0.0244 0.9390 V
0.4942 0.4927 0.0094 V
0.9854 0.2452 0.2557 V
0.5233 0.7235 0.2679 V
0.4835 0.2695 0.7437 V
0.0151 0.7436 0.7879 V
0.5045 0.0131 0.4890 V
0.0006 0.8934 0.3606 Ca
0.3008 0.1916 0.4848 O
0.6935 0.3317 0.0196 O
0.6728 0.8068 0.5366 O
0.8330 0.0826 0.2599 O
0.6963 0.5615 0.2901 O
0.1717 0.9102 0.7114 O
0.2967 0.6680 0.0058 O
0.2905 0.4399 0.7305 O
0.2061 0.1962 0.9711 F
0.1814 0.4244 0.2398 F
0.3685 0.9278 0.1729 F
0.8069 0.8100 0.0467 F
0.1796 0.6758 0.4838 F
0.8054 0.5734 0.7852 F
0.8016 0.3262 0.5346 F
0.6743 0.0901 0.7771 F
```

Output
**E above lowest polymorph**: 15 meV/atom
**Calculated volume**: 12.09 Å³ per atom


An optimized crystal structure of Fe3OF5, computed with GGA+U.

Structure (POSCAR):
```
Fe3OF5
1.0
4.8073 0.0000 0.0000
-0.0165 5.8072 0.0000
-0.0906 -0.3661 8.0665
O F Fe
2 10 6
Direct
0.3107 0.1935 0.8938 O
0.2061 0.3636 0.5543 O
0.7037 0.4565 0.7577 F
0.8064 0.3059 0.1250 F
0.2886 0.5340 0.2349 F
0.7021 0.1399 0.4385 F
0.1895 0.0424 0.2460 F
0.8023 0.6264 0.4210 F
0.7876 0.9638 0.7519 F
0.3081 0.8781 0.5679 F
0.7008 0.8008 0.0958 F
0.1974 0.6966 0.9002 F
0.0145 0.6553 0.6630 Fe
0.4940 0.4842 0.9980 Fe
0.5042 0.8380 0.3287 Fe
0.0054 0.0119 0.9888 Fe
0.0163 0.3318 0.3522 Fe
0.4624 0.1776 0.6823 Fe
```

Output
**E above lowest polymorph**: 20 meV/atom
**Calculated volume**: 12.51 Å³ per atom


An optimized crystal structure of Li3Fe2Si2O8, computed with GGA+U.

Structure (POSCAR):
```
Li3Fe2Si2O8
1.0
-5.0821 -5.3092 -0.0001
5.4936 -5.2585 0.0663
-5.2487 -0.0627 6.4194
O Fe Si Li
16 4 4 6
Direct
0.6770 0.1855 0.7426 O
0.3314 0.7908 0.2401 O
0.1696 0.0645 0.7574 O
0.8339 0.9556 0.2575 O
0.6855 0.5465 0.7463 O
0.3215 0.4592 0.2600 O
0.5320 0.7887 0.5418 O
0.1526 0.5144 0.0479 O
0.0377 0.2533 0.5292 O
0.8414 0.2944 0.2425 O
0.8238 0.4613 0.9582 O
0.6750 0.0286 0.0411 O
0.9506 0.7356 0.4521 O
0.1818 0.7035 0.7537 O
0.4661 0.2213 0.4589 O
0.3168 0.9967 0.9709 O
0.2492 0.4353 0.5156 Fe
0.5147 0.8147 0.9844 Fe
0.0025 0.3125 0.9947 Fe
0.7472 0.9375 0.5053 Fe
0.1889 0.6250 0.2500 Si
0.8056 0.3638 0.7405 Si
0.2961 0.8862 0.7595 Si
0.6923 0.1250 0.2500 Si
0.4982 0.1942 0.0072 Li
0.2554 0.0558 0.4928 Li
0.0649 0.1250 0.2500 Li
0.5441 0.6250 0.2500 Li
0.7472 0.5598 0.5063 Li
0.0035 0.6902 0.9937 Li
```

Output
**E above lowest polymorph**: 9 meV/atom
**Calculated volume**: 12.02 Å³ per atom


An optimized crystal structure of Ca2Mn3O8, computed with GGA+U.

Structure (POSCAR):
```
Ca2Mn3O8
1.0
********
Reply:
An optimized crystal structure of ZnNiP2O7, computed with GGA+U.

Structure (POSCAR):
```
ZnNiP2O7
1.0
0.4562 -0.2414 6.8284
6.4722 6.0009 -3.5229
-5.3514 5.9435 1.7427
O P Zn Ni
28 8 4 4
Direct
0.5750 0.6898 0.3551 O
0.4923 0.7551 0.0308 O
0.9115 0.7971 0.8328 O
0.8286 0.4348 0.8002 O
0.2379 0.9680 0.9593 O
0.9924 0.2550 0.5311 O
0.0884 0.2028 0.1671 O
0.8065 0.9948 0.4070 O
0.3647 0.8149 0.5573 O
0.5885 0.7029 0.6671 O
0.0752 0.1894 0.8551 O
0.5077 0.2448 0.9693 O
0.2625 0.5316 0.5408 O
0.6708 0.0651 0.6998 O
0.1934 0.0052 0.5932 O
0.6933 0.5052 0.0932 O
0.1343 0.6847 0.9433 O
0.7623 0.0320 0.0406 O
0.9248 0.8108 0.1448 O
0.6352 0.1851 0.4428 O
0.0075 0.7450 0.4689 O
0.8655 0.3153 0.0569 O
0.4113 0.2970 0.3331 O
0.3292 0.9349 0.3003 O
0.3066 0.4948 0.9068 O
0.4251 0.3104 0.6449 O
0.1713 0.5651 0.1998 O
0.7376 0.4685 0.4590 O
0.2117 0.8816 0.4743 P
0.7117 0.3816 0.9744 P
0.4513 0.6797 0.5276 P
0.5487 0.3204 0.4724 P
0.9515 0.1798 0.0275 P
0.0486 0.8203 0.9724 P
0.7883 0.1184 0.5258 P
0.2883 0.6183 0.0257 P
0.8220 0.6096 0.6711 Zn
0.1778 0.3902 0.3287 Zn
0.6777 0.8903 0.8288 Zn
0.3222 0.1096 0.1713 Zn
0.8434 0.6252 0.2806 Ni
0.6565 0.8755 0.2192 Ni
0.1571 0.3750 0.7190 Ni
0.3436 0.1246 0.7808 Ni
```

Output
**E above lowest polymorph**: 12 meV/atom
**Calculated volume**: 11.24 Å³ per atom


An optimized crystal structure of CaV8O8F8, computed with GGA+U.

Structure (POSCAR):
```
CaV8O8F8
1.0
2.4320 3.7176 -2.1063
-9.1711 4.5156 -3.0966
-0.8857 2.8802 4.9521
V Ca O F
8 1 8 8
Direct
0.9955 0.4972 0.5134 V
0.0324 0.0244 0.9390 V
0.4942 0.4927 0.0094 V
0.9854 0.2452 0.2557 V
0.5233 0.7235 0.2679 V
0.4835 0.2695 0.7437 V
0.0151 0.7436 0.7879 V
0.5045 0.0131 0.4890 V
0.0006 0.8934 0.3606 Ca
0.3008 0.1916 0.4848 O
0.6935 0.3317 0.0196 O
0.6728 0.8068 0.5366 O
0.8330 0.0826 0.2599 O
0.6963 0.5615 0.2901 O
0.1717 0.9102 0.7114 O
0.2967 0.6680 0.0058 O
0.2905 0.4399 0.7305 O
0.2061 0.1962 0.9711 F
0.1814 0.4244 0.2398 F
0.3685 0.9278 0.1729 F
0.8069 0.8100 0.0467 F
0.1796 0.6758 0.4838 F
0.8054 0.5734 0.7852 F
0.8016 0.3262 0.5346 F
0.6743 0.0901 0.7771 F
```

Output
**E above lowest polymorph**: 15 meV/atom
**Calculated volume**: 12.09 Å³ per atom


An optimized crystal structure of Fe3OF5, computed with GGA+U.